Listing
/*
[1]
The following is a DFT calculation (ωB97M-V/def2-TZVPD) of a 2-piece molecular cluster, C12H20OS overall at a distorted geometry.

The energy relative to the best compared isomer or geometry (same formula, charge and spin) is 5.6394 eV. The lowest unoccupied orbital energy (alpha / beta) is 0.658 / 0.658 eV. The energy comes out at -25644.9278 eV. The value obtained for the highest occupied orbital energy (alpha / beta) is -7.60 / -7.60 eV.

```
! wB97M-V def2-TZVPD RIJCOSX def2/J DEFGRID3
* xyz 0 1
C 0.46 -0.17 -0.70
C -0.37 0.61 -0.29
C -4.54 0.12 -0.13
C -3.22 0.06 -0.74
C -5.82 0.02 -0.97
C 5.41 -1.19 0.65
C -2.06 2.36 0.44
C 1.62 -0.57 -1.39
C 4.18 -0.59 1.43
C 2.88 -0.20 -0.73
C 2.90 -0.82 0.70
C -1.51 0.95 0.49
O -1.71 0.24 1.63
S -3.59 -1.43 0.10
H -4.57 0.66 0.78
H -3.07 0.02 -1.91
H -5.75 1.02 -1.51
H -6.72 0.09 -0.40
H -5.87 -0.78 -1.70
H 6.31 -1.38 1.19
H 5.31 -2.19 0.28
H 5.49 -0.55 -0.19
H -2.61 2.46 1.36
H -2.67 2.68 -0.37
H -1.24 3.21 0.40
H 1.43 -1.64 -1.48
H 1.51 -0.23 -2.48
H 4.05 -0.89 2.45
H 4.32 0.59 1.63
H 2.81 0.90 -0.57
H 3.85 -0.26 -1.22
H 2.65 -1.88 0.73
H 2.01 -0.51 1.22
H -1.87 -0.73 1.30
*
```

***

[2]
The following is a DFT calculation (ωB97M-V/def2-TZVPD) of C3H2F3I2O3S as an isolated structure at a distorted geometry.

The energy relative to the best compared isomer or geometry (same formula, charge and spin) is 1.3047 eV. The lowest unoccupied orbital energy (alpha / beta) is 0.914 / 0.917 eV. The energy comes out at -44474.5353 eV. The value obtained for the highest occupied orbital energy (alpha / beta) is -5.58 / -5.58 eV.

```
! wB97M-V def2-TZVPD RIJCOSX def2/J DEFGRID3
* xyz -1 1
C -0.61 1.43 -0.36
C 0.73 0.88 0.06
C 0.66 -0.50 0.40
O -0.04 -1.56 -1.95
O -1.79 -1.27 -0.33
O 0.02 -2.95 0.06
F -0.58 2.79 -0.36
F 1.66 1.06 -0.99
F 1.93 -1.17 0.51
S -0.43 -1.74 -0.57
I 1.53 1.93 1.78
I -1.00 -1.12 2.64
H -0.75 0.97 -1.31
H -1.32 1.25 0.42
*
```

***

[3]
The following is a DFT calculation (ωB97M-V/def2-TZVPD) of C26H45IrN3P2 as an isolated structure at a distorted geometry.

The energy relative to the best compared isomer or geometry (same formula, charge and spin) is 1.0403 eV. As for the expectation value of S²: 8.765. The lowest unoccupied orbital energy (alpha / beta) is -5.611 / -9.007 eV. The energy comes out at -53557.1583 eV. The value obtained for the highest occupied orbital energy (alpha / beta) is -12.94 / -12.69 eV.

```
! wB97M-V def2-TZVPD RIJCOSX def2/J DEFGRID3
* xyz 2 6
Ir 0.01 1.12 0.72
C 1.60 0.91 -2.34
C 1.94 2.19 -1.78
C 1.92 0.63 0.01
C 1.73 -0.06 -1.34
C 2.25 2.04 -0.43
C 1.39 0.67 -3.79
H 0.69 1.39 -4.24
H 0.99 -0.34 -3.98
H 2.33 0.76 -4.35
C 2.04 -1.47 -1.59
H 1.35 -1.91 -2.32
H 2.01 -2.06 -0.67
H 3.07 -1.55 -2.01
C 2.81 -0.05 1.02
H 3.86 -0.06 0.67
H 2.51 -1.09 1.17
H 2.79 0.47 1.98
C 2.90 3.06 0.43
H 3.61 3.68 -0.15
H 3.47 2.59 1.25
H 2.15 3.73 0.87
C 2.08 3.43 -2.57
H 3.00 3.42 -3.17
H 2.11 4.30 -1.92
H 1.24 3.55 -3.27
C -1.73 0.16 0.27
C -1.14 0.64 -0.95
C -1.57 1.93 -1.64
C -1.24 3.24 -0.85
C -0.58 3.05 0.49
C -1.27 2.47 1.61
C -2.75 2.14 1.51
C -3.02 0.82 0.73
H -2.63 1.91 -1.94
H -2.15 3.85 -0.76
H -1.03 2.00 -2.60
H -3.67 1.03 -0.13
H -1.60 -0.91 0.48
H -0.77 -0.17 -1.60
H -3.56 0.11 1.37
H -3.19 2.04 2.51
H -0.92 2.75 2.60
H -3.28 2.99 1.04
H -0.56 3.86 -1.46
H 0.22 3.76 0.74
P -1.70 -2.76 -1.77
C -0.68 -4.15 -2.38
H -1.28 -5.06 -2.43
H 0.17 -4.28 -1.70
H -0.30 -3.87 -3.37
C -2.76 -3.51 -0.48
H -3.13 -4.47 -0.84
H -3.60 -2.83 -0.25
H -2.17 -3.63 0.44
C -2.90 -2.43 -3.09
H -3.65 -1.73 -2.70
H -3.39 -3.36 -3.42
H -2.38 -1.94 -3.92
P 0.06 -0.01 3.11
C 0.91 1.37 3.98
H 0.19 1.96 4.57
H 1.37 2.02 3.22
H 1.70 0.98 4.63
C -1.63 -0.11 3.81
H -2.14 0.87 3.77
H -1.60 -0.46 4.85
H -2.21 -0.84 3.22
C 0.88 -1.51 3.76
H 0.96 -1.48 4.86
H 1.89 -1.62 3.33
H 0.30 -2.41 3.48
N 0.03 -2.74 0.53
C 0.71 -3.56 1.05
N 1.38 -4.40 1.76
C 2.34 -5.18 1.31
N 3.21 -5.90 1.00
*
```

***

[4]
*/

What to do
Repeat the part of the data earlier on that starts with the line with "0.02 -2.95" and stops after the one with "0.91 1.37".

Here it is
O 0.02 -2.95 0.06
F -0.58 2.79 -0.36
F 1.66 1.06 -0.99
F 1.93 -1.17 0.51
S -0.43 -1.74 -0.57
I 1.53 1.93 1.78
I -1.00 -1.12 2.64
H -0.75 0.97 -1.31
H -1.32 1.25 0.42
*
```

***

[3]
The following is a DFT calculation (ωB97M-V/def2-TZVPD) of C26H45IrN3P2 as an isolated structure at a distorted geometry.

The energy relative to the best compared isomer or geometry (same formula, charge and spin) is 1.0403 eV. As for the expectation value of S²: 8.765. The lowest unoccupied orbital energy (alpha / beta) is -5.611 / -9.007 eV. The energy comes out at -53557.1583 eV. The value obtained for the highest occupied orbital energy (alpha / beta) is -12.94 / -12.69 eV.

```
! wB97M-V def2-TZVPD RIJCOSX def2/J DEFGRID3
* xyz 2 6
Ir 0.01 1.12 0.72
C 1.60 0.91 -2.34
C 1.94 2.19 -1.78
C 1.92 0.63 0.01
C 1.73 -0.06 -1.34
C 2.25 2.04 -0.43
C 1.39 0.67 -3.79
H 0.69 1.39 -4.24
H 0.99 -0.34 -3.98
H 2.33 0.76 -4.35
C 2.04 -1.47 -1.59
H 1.35 -1.91 -2.32
H 2.01 -2.06 -0.67
H 3.07 -1.55 -2.01
C 2.81 -0.05 1.02
H 3.86 -0.06 0.67
H 2.51 -1.09 1.17
H 2.79 0.47 1.98
C 2.90 3.06 0.43
H 3.61 3.68 -0.15
H 3.47 2.59 1.25
H 2.15 3.73 0.87
C 2.08 3.43 -2.57
H 3.00 3.42 -3.17
H 2.11 4.30 -1.92
H 1.24 3.55 -3.27
C -1.73 0.16 0.27
C -1.14 0.64 -0.95
C -1.57 1.93 -1.64
C -1.24 3.24 -0.85
C -0.58 3.05 0.49
C -1.27 2.47 1.61
C -2.75 2.14 1.51
C -3.02 0.82 0.73
H -2.63 1.91 -1.94
H -2.15 3.85 -0.76
H -1.03 2.00 -2.60
H -3.67 1.03 -0.13
H -1.60 -0.91 0.48
H -0.77 -0.17 -1.60
H -3.56 0.11 1.37
H -3.19 2.04 2.51
H -0.92 2.75 2.60
H -3.28 2.99 1.04
H -0.56 3.86 -1.46
H 0.22 3.76 0.74
P -1.70 -2.76 -1.77
C -0.68 -4.15 -2.38
H -1.28 -5.06 -2.43
H 0.17 -4.28 -1.70
H -0.30 -3.87 -3.37
C -2.76 -3.51 -0.48
H -3.13 -4.47 -0.84
H -3.60 -2.83 -0.25
H -2.17 -3.63 0.44
C -2.90 -2.43 -3.09
H -3.65 -1.73 -2.70
H -3.39 -3.36 -3.42
H -2.38 -1.94 -3.92
P 0.06 -0.01 3.11
C 0.91 1.37 3.98